_Listing_
~~~
The following is a PBE calculation of crystalline NpScNi4 at its relaxed geometry, from Alexandria.

a b c (Å): 4.9186 4.9186 8.1487
angles (deg): 90.00 90.00 120.00
Space group P-3m1 (No. 164)
Symmetry-distinct sites (fractional):
Np (0.3333, 0.6667, 0.0458) [2 per cell]
Sc (0.3333, 0.6667, 0.4347) [2 per cell]
Ni (0.0000, 0.0000, 0.0000) [1 per cell]
Ni (0.0000, 0.0000, 0.5000) [1 per cell]
Ni (0.1661, 0.3323, 0.7418) [6 per cell]

ΔE_f	-0.319	eV/atom
ρ	10.052	g/cm³

=====

A plane-wave DFT calculation with PBE was carried out for a relaxed Tb2ZnPdO6 crystal.

Lattice parameters (Å, degrees): 5.371 5.766 9.401 90.00 124.79 90.00
Space group P2_1/c (No. 14)
Symmetry-distinct sites (fractional):
Tb 0.228 0.077 0.251 [4 per cell]
Zn 0.500 0.000 0.000 [2 per cell]
Pd 0.000 0.000 0.500 [2 per cell]
O 0.120 0.199 0.937 [4 per cell]
O 0.250 0.690 0.941 [4 per cell]
O 0.370 0.047 0.747 [4 per cell]

## Properties
raw total energy	-0.4950	Ry/atom
ΔE_f (raw)	-2187	meV/atom
~~~
_What to do_
Work out how many lines further up have the word "NpScNi4" in them; a number is enough.
_Here it is_
1